Now say how many lines of the material underneath hold the word "Na7", as a bare number.

/*
No. 1
Na6Zr7ZnP12O48 | GGA-PBE | optimized geometry

Results
Formation energy from the elements ... -226.05 eV per formula unit
Final energy ... -1693.7 eV for the cell shown
Size of the total moment ... 0.0 Bohr magnetons per cell

CIF file:
```
data_Na6Zr7ZnP12O48
_chemical_formula_sum 'Na18 Zr21 Zn3 P36 O144'
_cell_length_a 8.9590
_cell_length_b 15.4815
_cell_length_c 23.2829
_cell_angle_alpha 89.99
_cell_angle_beta 89.97
_cell_angle_gamma 89.97
_space_group_name_H-M_alt 'P 1'
_space_group_IT_number 1
_space_group_name_Hall 'P 1'
loop_
_atom_site_label
_atom_site_type_symbol
_atom_site_fract_x
_atom_site_fract_y
_atom_site_fract_z
Na1 Na 0.0000 0.0000 0.0000
Na2 Na 0.0004 0.0017 0.5017
Na3 Na 0.0016 0.3348 0.6659
Na4 Na 0.0145 0.3347 0.1733
Na5 Na 0.0142 0.6709 0.8365
Na6 Na 0.3254 0.6897 0.2594
Na7 Na 0.3705 0.9937 0.2597
Na8 Na 0.4869 0.8348 0.6715
Na9 Na 0.4935 0.1744 0.3413
Na10 Na 0.4954 0.1720 0.8358
Na11 Na 0.5014 0.5016 0.5014
Na12 Na 0.5029 0.5034 0.0007
Na13 Na 0.5142 0.8344 0.1717
Na14 Na 0.6294 0.9939 0.7574
Na15 Na 0.6772 0.6913 0.7572
Na16 Na 0.8252 0.1896 0.2597
Na17 Na 0.8704 0.4940 0.2597
Na18 Na 0.9937 0.6745 0.3410
Zr1 Zr 0.0000 0.0002 0.3571
Zr2 Zr 0.9995 0.0011 0.1479
Zr3 Zr 0.9997 0.3351 0.0217
Zr4 Zr 0.0005 0.3349 0.5189
Zr5 Zr 0.9998 0.6691 0.9811
Zr6 Zr 0.0009 0.6681 0.4815
Zr7 Zr 0.0020 0.3349 0.8153
Zr8 Zr 0.0043 0.0018 0.6481
Zr9 Zr 0.0046 0.9992 0.8555
Zr10 Zr 0.0085 0.6680 0.6867
Zr11 Zr 0.4970 0.1711 0.6870
Zr12 Zr 0.4975 0.1708 0.1861
Zr13 Zr 0.4992 0.5014 0.1477
Zr14 Zr 0.4994 0.5028 0.8559
Zr15 Zr 0.4996 0.5004 0.3571
Zr16 Zr 0.5002 0.5011 0.6476
Zr17 Zr 0.5007 0.8350 0.0191
Zr18 Zr 0.5023 0.1668 0.9811
Zr19 Zr 0.5021 0.1677 0.4817
Zr20 Zr 0.5022 0.8352 0.5199
Zr21 Zr 0.9981 0.6708 0.1859
Zn1 Zn 0.0102 0.3347 0.3246
Zn2 Zn 0.4901 0.8350 0.8222
Zn3 Zn 0.5100 0.8346 0.3246
P1 P 0.1450 0.1477 0.2518
P2 P 0.1464 0.1896 0.9185
P3 P 0.1461 0.4800 0.9186
P4 P 0.1463 0.5217 0.5842
P5 P 0.1482 0.8141 0.5841
P6 P 0.1481 0.8558 0.2517
P7 P 0.2082 0.5000 0.2512
P8 P 0.2089 0.1690 0.5841
P9 P 0.2115 0.8342 0.9172
P10 P 0.2909 0.3336 0.4170
P11 P 0.2930 0.6690 0.0850
P12 P 0.2952 0.9999 0.7517
P13 P 0.3554 0.0218 0.0854
P14 P 0.3547 0.3146 0.0834
P15 P 0.3546 0.6908 0.4153
P16 P 0.3560 0.3570 0.7521
P17 P 0.3571 0.6486 0.7519
P18 P 0.3573 0.9804 0.4154
P19 P 0.6453 0.6477 0.2518
P20 P 0.6466 0.0224 0.5862
P21 P 0.6469 0.6903 0.9152
P22 P 0.6471 0.9800 0.9152
P23 P 0.6480 0.3137 0.5846
P24 P 0.6481 0.3559 0.2516
P25 P 0.7083 0.0001 0.2512
P26 P 0.7104 0.6689 0.5862
P27 P 0.7107 0.3351 0.9182
P28 P 0.7910 0.5016 0.7513
P29 P 0.7906 0.8338 0.4169
P30 P 0.7929 0.1687 0.0855
P31 P 0.8532 0.8150 0.0839
P32 P 0.8543 0.8553 0.7515
P33 P 0.8545 0.1904 0.4150
P34 P 0.8551 0.5224 0.0855
P35 P 0.8560 0.1464 0.7516
P36 P 0.8568 0.4806 0.4151
O1 O 0.0704 0.2360 0.2559
O2 O 0.0740 0.4318 0.5787
O3 O 0.0749 0.0993 0.9123
O4 O 0.0752 0.5708 0.9242
O5 O 0.0760 0.9044 0.5909
O6 O 0.0780 0.1014 0.1984
O7 O 0.0787 0.7635 0.2456
O8 O 0.0792 0.8991 0.3051
O9 O 0.0799 0.2339 0.9721
O10 O 0.0800 0.4362 0.8648
O11 O 0.0802 0.5659 0.6385
O12 O 0.0810 0.7699 0.5312
O13 O 0.1020 0.4234 0.2553
O14 O 0.1069 0.7547 0.9263
O15 O 0.1091 0.2499 0.5786
O16 O 0.1099 0.0877 0.5905
O17 O 0.1114 0.9126 0.1987
O18 O 0.1107 0.9164 0.9134
O19 O 0.1119 0.5853 0.2449
O20 O 0.1130 0.4250 0.9723
O21 O 0.1143 0.2450 0.8647
O22 O 0.1140 0.5776 0.5313
O23 O 0.1155 0.7587 0.6384
O24 O 0.1188 0.0888 0.3046
O25 O 0.1835 0.9901 0.4126
O26 O 0.1842 0.0132 0.0913
O27 O 0.1839 0.3234 0.0785
O28 O 0.1838 0.6787 0.4252
O29 O 0.1847 0.3471 0.7582
O30 O 0.1850 0.6562 0.7457
O31 O 0.1897 0.6577 0.0330
O32 O 0.1921 0.3460 0.4711
O33 O 0.1928 0.9927 0.6982
O34 O 0.1948 0.0128 0.8051
O35 O 0.1975 0.6796 0.1407
O36 O 0.2029 0.3186 0.3626
O37 O 0.3002 0.8188 0.8631
O38 O 0.3079 0.1803 0.6384
O39 O 0.3089 0.1576 0.5312
O40 O 0.3096 0.4918 0.1976
O41 O 0.3097 0.5166 0.3038
O42 O 0.3095 0.8465 0.9716
O43 O 0.3174 0.4890 0.9130
O44 O 0.3180 0.1804 0.9244
*/

1